A Response to the Article that says Alpha Women are Unable to Love

My friend recently shared an article about a woman who claims to have the answer to a successful marriage: A wife must let her husband be the alpha, and she must be the beta. It’s called “Society is Creating a New Crop of Alpha Women Who are Unable to Love.”

Let it be said that my friend who shared this was not sharing in agreement, rather in a why-does-this-article-even-exist way.

You know, I think I have an idea why this article exists. Perhaps I’m being a little too generous in interpreting the author’s intentions, but in the spirit of giving the benefit of the doubt– maybe she was simply trying to verbalize the notion of “compromise,” and just managed to do so in a way that completely devalues the strength of women. Or perhaps she comes from a Christian perspective, and has taken some scriptures out of context, as is the habit of so many people– myself included at times, I’m sure, since I do not have a doctorate in scriptural theology. Thus, I can’t possibly understand half the implications or contexts of most passages in the Bible. Still, as a married Christian woman who has never been described as “beta” in my entire life, I have a few things I’d like to say about this article.

Literally the only experience I have being beta is when I tried to predict the behavior of my bet(t)a fish during my senior year psychology lab in college. In that moment, I really tried to get in the bet(t)a mindset in hopes of getting an A. Though I don’t think this is what the author is talking about, so we’ll move on. (RIP Dorian)

Fun story: Dorian ended up contracting a disease that not only killed him, but killed all the other fish in the lab. I think I got a B.

Fun story: Dorian ended up contracting a disease that not only killed him, but killed all the other fish in the lab. I think I got a B.

I’m not entirely sure where to begin when it comes to responding to this article. Perhaps it’s best to begin where the author, too, began, which is to reflect on the life of her “alpha” mother. First, shall we point out the irony that her parents were obviously married for 50+ years given that they died in old age, yet she’s critiquing her mother’s wifely behavior? Yeah, I’m sure in 50 years your mom made some mistakes or even developed some bad habits, but given that they loved each other until their dying breath, perhaps that’s a sign that she did something right…? Idk. Just food for thought.

Let’s also quickly touch on this concept of “mastering wifedom.” By using that phrase, you’re already shooting yourself in the foot, because *breaking news*– every marriage is unique. Given the nature of individuality, what a wife (or husband) needs to bring to the table is completely different depending on who they are, who they’re married to, the foundation they’ve laid with their spouse, and about 1.7 billion other factors. “Mastering” it is like saying we should all master Simone Biles’ floor routine, even though Jane is in a wheelchair and Becky is a heavyweight power lifter.

Let’s look at this from a scriptural perspective for a second, which is how a large chunk of America tries to categorize wives and husbands into one clean happy little box, despite our obvious differences that would never in a million years lend themselves to a box, or even an octagonal prism.

“Better to live on a corner of the roof than share a house with a quarrelsome wife.” — Proverbs 21:9

This proverb was written by King Solomon. Solomon had 700 wives and 300 concubines, all living under the same roof. If anyone has ever watched The Bachelor (or read my recaps), you can understand why some of these ladies might’ve been a bit quarrelsome. This scripture isn’t saying that all marital quarrels are the fault of the woman, nor does it mean that you shouldn’t live with someone who is quarrelsome. No, the wisdom in this scripture falls somewhere between “Being quarrelsome is exhausting, so don’t pick stupid arguments” and “You’re probably better off not having 700 wives.”

“Now as the church submits to Christ, so also wives should submit to their husbands in everything. Husbands, love your wives, just as Christ loved the church and gave himself up for her to make her holy, cleansing her by the washing with water through the word, and to present her to himself as a radiant church, without stain or wrinkle or any other blemish, but holy and blameless. In this same way, husbands ought to love their wives as their own bodies. He who loves his wife loves himself. — Ephesians 5:24-28

Here’s the dealio– this scripture is basically saying to have mutual love and respect, and the rest will fall into place. If a husband is truly loving toward his wife (i.e. thinks she is the most wonderful being in the world, holds her opinions with high regard, and shows her unconditional devotion), wives should have a pretty easy time trusting their husband’s decisions because those decisions won’t be based on his own selfish desires. If he loves you, he’ll also respect you, thus he won’t want to make a decision without your input. It’s not saying that a woman doesn’t get any say, and it’s certainly not a game of “who’s in charge.” Rather, this scripture speaks to the needs of both parties.

You see, men are called to love women in the same way they love themselves. So if they think they’re intelligent and have the best ideas, then they should equally respect the intelligence and ideas of their spouse. In the end, even those hard decisions that require compromise (sure, sometimes you won’t entirely agree) are made together, because both parties value the other.

To drive this home, the scripture says Christ “gave himself up” for the church, in the same way husbands must do for their wives. Sounds like that whole submission thing is a two way street, yah? Submission gets a bad rap, but what it really means is to trust and support your spouse, which I think we can all agree are important ingredients in a happy marriage, and the responsibility of both parties involved.

Last point, this here scripture says it’s HIS job to present HER as holy and blameless. As in, bro, it’s in your court to help guide your wife’s behavior in a way that is fitting of Christ. As in, don’t make her go nutso by treating her in any way that’s less than 100% loving. Don’t ghost her. Don’t talk down to her. Don’t ignore her needs. Not saying that women aren’t responsible for their own actions and reactions, but the author in the other article said that men basically react to a woman’s behavior, so it’s up to women to not agitate men. Nah, nah, sister. Other way around.

Now, off the scriptural train, let’s talk a bit about this “alpha” issue. Alpha refers to the one in charge. Think Mufasa, or Akela the wolf from Jungle Book. Better yet, think Sarabi after Mufasa died.



Omg love her so much.

K, so anyway, “alpha” is a word that should never, ever again be associated with marriage. Let’s save it for the Animal Kingdom and maybe the standout in boy/girl bands, like how we might’ve described Justin Timberlake or Beyonce during the years of N*SYNC and Destiny’s Child.

No one is in charge in a marriage. LET ME REPEAT. NO ONE IS IN CHARGE IN A MARRIAGE.

Yes, sometimes someone in a marriage might have a “stronger” personality. I think it’s fairly safe to say that in mine, I am, uh, what shall we call it…more aggressive. By nature, I am more vocal about things like how many bananas we should buy at one time and that I absolutely refuse to stay out at a bar once I hit my wall. While I’m busy swimming upstream, my husband goes with the flow. Nay, he IS the flow. He just goes with whatever and once he sees me swimming in the wrong direction, he usually calmly switches the direction of the entire river.

But here’s the deal. My husband and I always compliment each other for our differences, while continuing to work on parts of our personalities that need to tighten up. He tells me he loves being with a sassy woman, because it means I’m passionate and strong. I tell him I love being with an energizer bunny who has hoarding tendencies and no clue how to predict how long something will take, because it means that he loves the world and everything in it so much that he gets carried away, which is a beautiful thing. A worry wart/control freak like myself has a lot to learn from him.

This doesn’t mean that we both act a fool, though, and expect the other person to deal with it. Absolutely not. I work on myself to be less demanding and needy, not because I’m a woman, but because demanding and needy people are jerks. And I don’t want to be a jerk– especially to my husband, because he treats me like a queen. It’s actually a fantastic cycle. He is thoughtful and loving and bakes me a homemade lava cake just because, so I want to return that sort of love by not making his life a living hell due to my aggressive moods. And since he sees me swallow my sassiness at times or try to put on a chill face when we’re out with his friends later than I wanted to be, he in turn tries not to do things that bother me, like forgetting to text me that he’s alive once he gets to work in the morning, or buying too much fruit so that it goes bad in the basket before we have the chance to eat it all. #ihaveissuesihaveissuesihaveissues

We also really trust each other. I know that when he makes a decision, he has thought about me while making it. And vice versa. Most of the time, we talk before any decisions are made. He respects my practicality, so he asks for my input, and I respect his ability to see the bigger picture, so I ask for his input. Without him, I’d overanalyze every tiny decision and rarely get to enjoy life (that was truly sometimes a hindrance during my single years), and without me, he’d have a hard time prioritizing responsibilities. Knowing that the other person really takes us into consideration makes the whole “submitting/beta/not always in control” thing a heck of a lot easier. Also, we need to find a better word for that. Stat.

It’s really all a balance of appreciating your spouse’s natural personality, while also working on yourself to become a better person. I don’t think it’s admirable to just behave whatever which way you feel like, even if it means lashing out or being rude, and call it “just being yourself.” No, we should all strive to control ourselves in a way that is the most loving and kind. When it comes to this concept in marriage, the key is that BOTH people constantly strive for this self-improvement. Not only for the sake of their spouse, whose love should serve as motivation, but for the sake of the energy they bring into the world and, for Christians, the humility they bear under Christ.

This idea that one person in a relationship should be alpha over another has got to stop. Be it the perspective of this woman who feels the man should be alpha, or the perspective of others that a woman should be alpha if she wants to be. No, how about no one be alpha? How about two people love each other and value each other’s strengths? How about husbands and wives focus on the needs of their spouse, creating a positive cycle of love and gratitude, instead of perpetuating the “me me me” world we live in? Has no one noticed that this concept of “focusing on me and my needs” has only created disunity in modern relationships, leaving absolutely nobody happy?

I’ll tell you this: I pretty much never have to worry about my needs, because my husband has already worried about them for me, and fulfilled them (or encouraged me to fulfill them on my own) before they become needs in the first place. And I like to think it’s the same for him. When unfulfilled needs do arise, we express them to one another, and go from there. My needs are not more important than his, and his are not more important than mine. There is no alpha. There is no beta. There are just two people who love each other, both doing their best to put that love into action.

What comes next are quantum chemistry results, not part of the page:
<<<
DFT (ωB97M-V/def2-TZVPD) results for a 4-piece molecular cluster, C19H50BIN3O4 overall in a non-equilibrium geometry.

```
78
Properties=species:S:1:pos:R:3:forces:R:3
C 2.465430 3.364034 -0.355400 -0.071 -0.381 -0.339
C 1.123591 2.479557 0.076087 2.043 0.916 0.901
N 0.155452 2.264248 -1.089357 3.161 0.468 0.397
N -0.956047 1.568450 -0.559466 -1.764 0.735 1.058
C -2.113439 2.537541 -0.619318 -2.728 3.142 0.575
C -2.685585 2.928532 0.894609 0.079 -1.130 0.001
C -3.975125 2.002309 1.303183 -0.452 -0.153 0.083
I -3.396742 5.036676 0.887113 0.619 -1.121 -0.148
B -1.180507 0.247067 -1.281645 -0.926 -4.980 -2.794
O -2.103394 0.084912 -2.461809 0.868 0.933 4.345
N -0.433248 -1.056994 -0.908651 -0.976 2.866 0.630
C -0.479304 -1.318068 0.577476 1.655 0.372 1.014
C 0.967022 -1.072114 -1.475930 0.535 -1.369 0.189
H 3.140199 2.720341 -1.089939 -1.391 1.459 1.577
H 3.096832 3.601164 0.625491 -1.492 -0.542 -2.224
H 2.172097 4.379869 -0.909150 0.558 -2.348 1.380
H 0.631584 3.092766 0.972777 0.462 -1.301 -2.227
H 1.487801 1.453831 0.536122 -0.732 1.848 -0.978
H 0.597478 1.726550 -1.866362 -0.235 0.446 0.960
H -0.720903 1.455321 0.472496 -0.566 -0.506 -1.331
H -3.041943 2.179145 -1.231330 2.090 0.211 1.040
H -1.750981 3.551154 -1.133153 -0.482 -2.599 1.142
H -1.819755 2.880895 1.702494 -1.804 0.138 -1.676
H -4.458773 1.567356 0.307545 1.019 0.850 2.216
H -4.811744 2.661517 1.826659 1.938 -1.543 -1.052
H -3.688297 1.109818 2.041462 -0.551 1.933 -1.722
H -2.886248 -0.429500 -2.071465 1.513 0.526 -1.063
H -0.035186 -2.394357 0.841733 -1.350 2.355 -0.569
H -1.538787 -1.133167 1.054138 2.006 -0.686 -1.103
H 0.289626 -0.553449 1.076193 -1.473 -1.465 -0.475
H 1.056317 -0.353122 -2.407615 0.003 -1.620 1.840
H 1.208043 -2.200717 -1.781765 -0.383 2.607 0.372
H 1.712997 -0.817733 -0.603335 -1.109 -0.080 -1.849
C 6.970694 6.312208 -2.964253 -0.147 0.174 -0.133
C 6.470246 4.878417 -2.939440 0.126 0.082 0.117
O 5.080922 4.767828 -2.642644 -0.224 -0.111 0.131
C 4.182363 5.388862 -3.558457 0.138 -0.112 -0.035
C 4.262733 4.818315 -4.963946 0.226 0.003 -0.131
H 6.699572 6.832949 -2.040439 0.086 -0.117 -0.064
H 8.058357 6.336014 -3.078642 -0.138 -0.026 0.026
H 6.534791 6.873645 -3.795545 0.117 -0.027 0.028
H 7.000505 4.337290 -2.147481 -0.308 -0.003 -0.066
H 6.701613 4.362102 -3.876255 -0.007 0.061 -0.052
H 4.331728 6.473033 -3.561687 0.035 0.002 -0.072
H 3.174722 5.215969 -3.168631 0.159 -0.051 0.169
H 5.225869 5.043396 -5.433032 -0.158 0.010 0.003
H 3.476396 5.243374 -5.594693 0.084 -0.043 0.083
H 4.153337 3.729250 -4.946724 -0.048 0.123 0.024
C -1.699016 -5.032691 5.230573 0.068 0.129 0.207
C -0.861741 -4.815880 3.982060 -0.149 -0.059 0.051
O -0.603042 -3.442399 3.704273 -0.034 0.188 -0.245
C 0.128192 -2.719456 4.691418 0.089 -0.102 -0.039
C 1.522075 -3.271763 4.935204 0.022 -0.259 0.065
H -2.615904 -4.436198 5.190258 0.076 -0.117 -0.064
H -1.966930 -6.088322 5.333174 0.036 0.133 -0.037
H -1.156118 -4.736409 6.132652 -0.047 -0.109 -0.044
>>>

Despite what that other author says, I think I love my husband pretty well, even though I have the more aggressive personality. I’m not Jesus or anything, but I think most wouldn’t refute my claim that I love my husband. My ability to love is not hindered by having the more Type A personality. He loves and learns from me as much as I love and learn from him– in entirely different ways. Which is the beauty of a healthy union.

My feminine nature isn’t about “meshing” with my husband’s needs. Is compromise and respect important? Yes. But it’s not a trait that is strictly feminine, because my husband has to “mesh” with my needs, too. That doesn’t mean he has a feminine nature. It means he and I both do our best to show eachother love, even when it’s not easy or we don’t always “get what we want.” Because what we want the most is to love each other well. Femininity and compromise don’t go hand in hand. Love and compromise go hand in hand.

I am feminine because I am of the female gender. But the definition of femininity is a different debate for a different post. Which leads me to point out that this post is obviously about the dynamics of heterosexual relationships, but I think it’s safe to say that these principles easily apply to anyone in any relationship.

Anyway, I’ll just end by saying that I hope those who are in a marriage or those who want to be in a marriage realize that it’s not about power, specific roles, or behaving however you want and the other person should love you anyway. It’s none of that. Marriage is about love, which breeds respect, which breeds equality, which breeds compromise, which breeds gratitude, which breeds love.

And with that, anyone want to come over and watch The Lion King with me? Because I’m strongly in the mood after writing this.